== File ==
<<<
AgS2N2: theoretical PXRD pattern (Cu Kα (λ = 1.5418 Å)), based on a structure optimized by DFT (GGA-PBE).

Structure:
```
data_AgS2N2
_chemical_formula_sum 'Ag1 S2 N2'
_cell_length_a 3.4407
_cell_length_b 3.4407
_cell_length_c 6.7708
_cell_angle_alpha 90.00
_cell_angle_beta 90.00
_cell_angle_gamma 90.00
_space_group_name_H-M_alt 'P 4/m m m'
_space_group_IT_number 123
_space_group_name_Hall '-P 4 2'
loop_
_atom_site_label
_atom_site_type_symbol
_atom_site_fract_x
_atom_site_fract_y
_atom_site_fract_z
Ag1 Ag 0.0000 0.0000 0.0000
S1 S 0.5000 0.5000 0.0000
S2 S 0.5000 0.5000 0.5000
N1 N 0.0000 0.5000 0.5000
```

Peak list (10 most intense, 2θ from 5° to 70°, in order of rising 2θ)
d/Å	Rel. int.	index
6.771	73	0 0 1
3.385	100	0 0 2
3.067	88	1 0 1
2.433	41	1 1 0
2.290	58	1 1 1
1.976	44	1 1 2
1.887	21	1 0 3
1.720	24	2 0 0
1.655	19	1 1 3
1.534	31	2 0 2


This entry pairs a crystal structure of Nd6Dy3In with its theoretical powder diffraction line list. Radiation: Cu Kα X-rays. Structure: a structure optimized by DFT (GGA-PBE).
Intensities are scaled so that the largest is 100.

Most intense lines, 2θ from 5° to 70°, low angle first:
index, Position (°2θ), I/Imax
2 1 1, 30.0, 47
4 0 -3, 30.7, 74
0 0 5, 31.3, 100
4 0 2, 32.8, 81
2 1 -4, 36.6, 27
4 2 -3, 61.0, 22

Crystal structure
```
data_Nd6Dy3In
_symmetry_space_group_name_H-M 'P 1 21/m 1'
_symmetry_Int_Tables_number 11
_cell_length_a 12.999
_cell_length_b 3.560
_cell_length_c 14.535
_cell_angle_alpha 90.00
_cell_angle_beta 100.68
_cell_angle_gamma 90.00
loop_
_symmetry_equiv_pos_as_xyz
'x,y,z'
'-x,-y,-z'
'-x,y+1/2,-z'
'x,-y+1/2,z'
loop_
_atom_site_label
_atom_site_type_symbol
_atom_site_fract_x
_atom_site_fract_y
_atom_site_fract_z
Nd1 Nd 0.010 0.250 0.309
Nd2 Nd 0.158 0.250 0.885
Nd3 Nd 0.254 0.750 0.303
Nd4 Nd 0.268 0.750 0.714
Nd5 Nd 0.312 0.750 0.076
Nd6 Nd 0.389 0.250 0.537
Dy1 Dy 0.080 0.250 0.097
Dy2 Dy 0.130 0.750 0.501
Dy3 Dy 0.428 0.250 0.893
In1 In 0.469 0.250 0.270
```

This entry pairs a crystal structure of ErP2Pt8 with its theoretical powder diffraction line list. Radiation: Cu Kα X-rays. Structure: a structure optimized by DFT (GGA-PBE).
Intensities are scaled so that the largest is 100.

Most intense lines, 2θ from 5° to 70°, low angle first:
index, Position (°2θ), I/Imax
0 0 4, 24.7, 53
2 0 0, 32.8, 68
0 0 6, 37.4, 26
2 0 4, 41.5, 100
2 2 0, 47.1, 46
2 0 6, 50.6, 32

Crystal structure
```
data_ErP2Pt8
_symmetry_space_group_name_H-M 'I 4/m m m'
_symmetry_Int_Tables_number 139
_symmetry_space_group_name_Hall '-I 4 2'
_cell_length_a 5.461
_cell_length_b 5.461
_cell_length_c 14.434
_cell_angle_alpha 90.00
_cell_angle_beta 90.00
_cell_angle_gamma 90.00
loop_
_atom_site_label
_atom_site_type_symbol
_atom_site_fract_x
_atom_site_fract_y
_atom_site_fract_z
Er1 Er 0.000 0.000 0.000
P1 P 0.000 0.500 0.250
Pt1 Pt 0.246 0.246 0.353
```

This entry pairs a crystal structure of Ag3IBr6 with its theoretical powder diffraction line list. Radiation: Cu Kα X-rays. Structure: a structure optimized by DFT (GGA-PBE).
Intensities are scaled so that the largest is 100.

Most intense lines, 2θ from 5° to 70°, low angle first:
index, Position (°2θ), I/Imax
1 0 -1, 10.9, 31
0 2 0, 22.2, 100
1 0 -4, 31.8, 38
3 0 0, 32.3, 55
1 2 -4, 39.2, 32
3 2 0, 39.6, 36

Crystal structure
```
data_Ag3IBr6
_symmetry_space_group_name_H-M 'P 1 21 1'
_symmetry_Int_Tables_number 4
_cell_length_a 8.930
_cell_length_b 8.006
_cell_length_c 11.263
_cell_angle_alpha 90.00
_cell_angle_beta 111.51
_cell_angle_gamma 90.00
loop_
_symmetry_equiv_pos_as_xyz
'x,y,z'
'-x,y+1/2,-z'
loop_
_atom_site_label
_atom_site_type_symbol
_atom_site_fract_x
_atom_site_fract_y
_atom_site_fract_z
Ag1 Ag 0.002 0.000 0.399
Ag2 Ag 0.326 0.135 0.720
Ag3 Ag 0.355 0.574 0.942
I1 I 0.309 0.080 0.221
Br1 Br 0.019 0.156 0.617
Br2 Br 0.026 0.586 0.854
Br3 Br 0.302 0.100 0.973
Br4 Br 0.335 0.552 0.707
Br5 Br 0.342 0.054 0.472
Br6 Br 0.372 0.586 0.173
```


(1)
>>>
== To do ==
Now reproduce the block further above character by character.
== Outcome ==
AgS2N2: theoretical PXRD pattern (Cu Kα (λ = 1.5418 Å)), based on a structure optimized by DFT (GGA-PBE).

Structure:
```
data_AgS2N2
_chemical_formula_sum 'Ag1 S2 N2'
_cell_length_a 3.4407
_cell_length_b 3.4407
_cell_length_c 6.7708
_cell_angle_alpha 90.00
_cell_angle_beta 90.00
_cell_angle_gamma 90.00
_space_group_name_H-M_alt 'P 4/m m m'
_space_group_IT_number 123
_space_group_name_Hall '-P 4 2'
loop_
_atom_site_label
_atom_site_type_symbol
_atom_site_fract_x
_atom_site_fract_y
_atom_site_fract_z
Ag1 Ag 0.0000 0.0000 0.0000
S1 S 0.5000 0.5000 0.0000
S2 S 0.5000 0.5000 0.5000
N1 N 0.0000 0.5000 0.5000
```

Peak list (10 most intense, 2θ from 5° to 70°, in order of rising 2θ)
d/Å	Rel. int.	index
6.771	73	0 0 1
3.385	100	0 0 2
3.067	88	1 0 1
2.433	41	1 1 0
2.290	58	1 1 1
1.976	44	1 1 2
1.887	21	1 0 3
1.720	24	2 0 0
1.655	19	1 1 3
1.534	31	2 0 2


This entry pairs a crystal structure of Nd6Dy3In with its theoretical powder diffraction line list. Radiation: Cu Kα X-rays. Structure: a structure optimized by DFT (GGA-PBE).
Intensities are scaled so that the largest is 100.

Most intense lines, 2θ from 5° to 70°, low angle first:
index, Position (°2θ), I/Imax
2 1 1, 30.0, 47
4 0 -3, 30.7, 74
0 0 5, 31.3, 100
4 0 2, 32.8, 81
2 1 -4, 36.6, 27
4 2 -3, 61.0, 22

Crystal structure
```
data_Nd6Dy3In
_symmetry_space_group_name_H-M 'P 1 21/m 1'
_symmetry_Int_Tables_number 11
_cell_length_a 12.999
_cell_length_b 3.560
_cell_length_c 14.535
_cell_angle_alpha 90.00
_cell_angle_beta 100.68
_cell_angle_gamma 90.00
loop_
_symmetry_equiv_pos_as_xyz
'x,y,z'
'-x,-y,-z'
'-x,y+1/2,-z'
'x,-y+1/2,z'
loop_
_atom_site_label
_atom_site_type_symbol
_atom_site_fract_x
_atom_site_fract_y
_atom_site_fract_z
Nd1 Nd 0.010 0.250 0.309
Nd2 Nd 0.158 0.250 0.885
Nd3 Nd 0.254 0.750 0.303
Nd4 Nd 0.268 0.750 0.714
Nd5 Nd 0.312 0.750 0.076
Nd6 Nd 0.389 0.250 0.537
Dy1 Dy 0.080 0.250 0.097
Dy2 Dy 0.130 0.750 0.501
Dy3 Dy 0.428 0.250 0.893
In1 In 0.469 0.250 0.270
```

This entry pairs a crystal structure of ErP2Pt8 with its theoretical powder diffraction line list. Radiation: Cu Kα X-rays. Structure: a structure optimized by DFT (GGA-PBE).
Intensities are scaled so that the largest is 100.

Most intense lines, 2θ from 5° to 70°, low angle first:
index, Position (°2θ), I/Imax
0 0 4, 24.7, 53
2 0 0, 32.8, 68
0 0 6, 37.4, 26
2 0 4, 41.5, 100
2 2 0, 47.1, 46
2 0 6, 50.6, 32

Crystal structure
```
data_ErP2Pt8
_symmetry_space_group_name_H-M 'I 4/m m m'
_symmetry_Int_Tables_number 139
_symmetry_space_group_name_Hall '-I 4 2'
_cell_length_a 5.461
_cell_length_b 5.461
_cell_length_c 14.434
_cell_angle_alpha 90.00
_cell_angle_beta 90.00
_cell_angle_gamma 90.00
loop_
_atom_site_label
_atom_site_type_symbol
_atom_site_fract_x
_atom_site_fract_y
_atom_site_fract_z
Er1 Er 0.000 0.000 0.000
P1 P 0.000 0.500 0.250
Pt1 Pt 0.246 0.246 0.353
```

This entry pairs a crystal structure of Ag3IBr6 with its theoretical powder diffraction line list. Radiation: Cu Kα X-rays. Structure: a structure optimized by DFT (GGA-PBE).
Intensities are scaled so that the largest is 100.

Most intense lines, 2θ from 5° to 70°, low angle first:
index, Position (°2θ), I/Imax
1 0 -1, 10.9, 31
0 2 0, 22.2, 100
1 0 -4, 31.8, 38
3 0 0, 32.3, 55
1 2 -4, 39.2, 32
3 2 0, 39.6, 36

Crystal structure
```
data_Ag3IBr6
_symmetry_space_group_name_H-M 'P 1 21 1'
_symmetry_Int_Tables_number 4
_cell_length_a 8.930
_cell_length_b 8.006
_cell_length_c 11.263
_cell_angle_alpha 90.00
_cell_angle_beta 111.51
_cell_angle_gamma 90.00
loop_
_symmetry_equiv_pos_as_xyz
'x,y,z'
'-x,y+1/2,-z'
loop_
_atom_site_label
_atom_site_type_symbol
_atom_site_fract_x
_atom_site_fract_y
_atom_site_fract_z
Ag1 Ag 0.002 0.000 0.399
Ag2 Ag 0.326 0.135 0.720
Ag3 Ag 0.355 0.574 0.942
I1 I 0.309 0.080 0.221
Br1 Br 0.019 0.156 0.617
Br2 Br 0.026 0.586 0.854
Br3 Br 0.302 0.100 0.973
Br4 Br 0.335 0.552 0.707
Br5 Br 0.342 0.054 0.472
Br6 Br 0.372 0.586 0.173
```


(1)